Tuesday 24 January 2012

Snap snap snap

What is a photograph?
A photograph is a mili second captured on a paper, or as a viewable digital picture. It makes that one second last forever. Exactly the way it happened. No changes. It's a way to stop time. Keep it from moving, a way that defies the laws of time and movement. In that picture, time stands still, people stand still. Even after theyre long gone. They appear in that photo, just as real life. Just as they once stood before. A little peice of them caught in that little photo. Forever.

People change. They grow up or grow old. That photo of them is something that stays the same throughout time. It keeps them the way they were. It keeps them alive. It's magnificent if you ask me. I wish I can take pictures of the whole world on my camera, of everyone I know, everyone I don't know. Try and keep it. As it is. Forever.

We forget a lot. Forget how we once felt, how we once loved. We forget what we saw, what we encountered, we forget the bad times as well as the good times. Photos are there to remind us, how we once were. What we once saw, how we once lived.

A machine to stop time. And make us watch a moment over and over. Making time timeless.

Take your cameras out. Your future selves will thank you for it.

Sunday 15 January 2012


I always wondered what it is that I'll be doing once the zombies attack. Mind you I still can't figure out how the zombies will come about in the first place, like what will trigger them. Will it be a bang heard all around the globe? Or will it be a disease infecting people's brains? Either way I think about it nearly all the time.

I would like to consider myself ready if a zombie attack was to occur. I have worked out vigorously, kept my weight down. My leg muscles can keep me running for days if I had to. Yes I'm serious.

I've practiced to be aware of my surroundings. No zombie can surprise me without me knowing about it.

I have used my boney fingers to poke pillows, tomatoes, even soap bars, incase I'll ever have to poke someone's eyes out. And I've been biting people since 1991. Needless to say, i've advanced far since then. It is after all survival of the fittest.

I'm quick with reactions. And I know exactly what to do. I've even practiced on guns for crying out loud.

Not to mention, I can stitch wounds, give shots, treat people and fix fractures.

Bottom line, I am trained and ready or combat. And nothing scares me.

But I have come to the sad realization that I however awesome, cant survive alone, Without a proper gang, a team.

(Here the entry breaks off for molecular data)
+++
(one)
The following is a quantum chemistry calculation of a cluster of 2 separate species, C8H8N4O4 in total, from the Open Molecules 2025 dataset.

Geometry as ORCA input:
```
! RIJCOSX wB97M-V def2-TZVPD def2/J DEFGRID3
* xyz 0 1
O 2.9759 1.5197 -2.2499
C 2.8607 1.3737 -1.0631
C 1.9395 0.4538 -0.3359
C 1.7751 0.6144 0.9953
N 2.4848 1.4655 1.7816
C 3.3732 2.3385 1.2587
O 4.0819 3.0918 1.8880
N 3.5385 2.2059 -0.1366
H 1.3542 -0.1426 -0.9422
H 1.2222 -0.0778 1.6914
H 2.2306 1.6236 2.7873
H 4.2480 2.8232 -0.4098
O -0.2282 -0.8482 -1.2819
C -1.3710 -1.0958 -0.9413
C -2.4888 -1.4045 -1.8488
C -3.6791 -1.7280 -1.3354
N -3.9109 -1.7486 0.0168
C -2.9340 -1.4777 0.9702
O -3.1404 -1.5331 2.1574
N -1.7047 -1.1474 0.4138
H -2.3001 -1.3941 -2.9179
H -4.5465 -1.9709 -1.9532
H -4.8235 -1.9994 0.3864
H -0.9576 -0.9420 1.0690
*
```

* SMILES: O=c1cc[nH]c(=O)[nH]1.O=c1cc[nH]c(=O)[nH]1
* Kohn-Sham gap: 9.44 eV
* highest occupied orbital energy: -9.185 eV

(two)
The following is a quantum chemistry calculation of a cluster of 2 separate species, C8H8N4O4 in total, from the Open Molecules 2025 dataset.

Geometry as ORCA input:
```
! RIJCOSX wB97M-V def2-TZVPD def2/J DEFGRID3
* xyz 0 1
O -3.3319 -3.6624 -2.7551
C -2.9265 -2.5543 -2.4515
C -2.9160 -1.9133 -1.0962
C -2.2569 -0.7358 -0.9721
N -1.7565 -0.0178 -2.0942
C -1.9199 -0.4343 -3.4155
O -1.5719 0.2715 -4.3542
N -2.5912 -1.6265 -3.4486
H -3.1751 -2.4412 -0.2243
H -2.1629 -0.1038 -0.0743
H -1.3982 0.8591 -1.9012
H -2.6966 -2.1459 -4.3245
O -0.1844 0.7838 2.5093
C 1.0017 1.0546 2.3208
C 1.6590 2.1099 3.0934
C 2.9728 2.1981 3.1071
N 3.6827 1.4146 2.2592
C 3.2302 0.4158 1.3180
O 3.9269 -0.1941 0.5346
N 1.8085 0.3424 1.4512
H 0.7557 2.7280 3.5380
H 3.6667 2.6704 3.7934
H 4.6350 1.5444 2.1437
H 1.5487 -0.5634 1.0430
*
```

* SMILES: O=c1cc[nH]c(=O)[nH]1.O=c1cc[nH]c(=O)[nH]1
* Kohn-Sham gap: 9.84 eV
* highest occupied orbital energy: -9.546 eV

Stability comparison, relative energies in hartree: (one) 0.0000; (two) 0.0281

(one)
The following is a quantum chemistry calculation of a cluster of 16 separate species, C4H43N2O15 in total, from the Open Molecules 2025 dataset.

Geometry as ORCA input:
```
! RIJCOSX wB97M-V def2-TZVPD def2/J DEFGRID3
* xyz 1 1
C -0.5350 -0.2181 -1.3922
C 0.7274 -0.9719 -1.0255
C 1.9816 -0.1619 -1.5674
C 2.0527 1.3053 -1.2752
N 2.5886 1.5791 0.1014
N 0.5815 -2.3832 -1.3285
H -0.9138 -0.4136 -2.3859
H -1.3878 -0.6721 -0.8748
H -0.6104 0.8315 -1.1162
H 0.7814 -1.0300 0.0631
H 1.9887 -0.4505 -2.6128
H 2.8346 -0.6243 -1.0649
H 2.6484 1.8218 -2.0314
H 1.1650 1.9433 -1.2384
H 3.3258 1.0160 0.4677
H 2.8234 2.5679 0.0766
H -1.1937 -3.6477 -1.1005
H 0.5108 -2.6383 -2.3040
H 1.2138 -2.9820 -0.8102
H 2.0950 -1.7429 2.2303
H 1.3995 -2.9897 2.4717
O 1.4889 -2.1173 2.8882
H -3.3939 -2.4024 2.5279
H -1.0092 -1.0351 3.1929
O -3.1889 -1.7456 1.8562
H 0.5915 1.2653 -3.5051
H -0.2965 0.4384 -4.3864
O 0.6237 0.5000 -4.1060
H 3.0623 -2.5216 0.5280
H 3.2209 -4.1048 0.4160
O 2.6104 -3.3737 0.5376
+++

I need a tech genius, I will need someone with mad driving skills cuz I drive like women. Asian women.
Someone that knows the area. I'll need someone with good armour experience and anyone else that seems useful with anti zombie skills. Also.. I will also need someone, prefereably with good genes, just incase if I'll be needing to repopulate the world with.

When the time comes you'll remember me. If you will be fending off zombies by yourself, then I bid you the best of luck! Either way, I hope I see you at the end line!

Sick and other random stuff

I've got the flu. I think. Even though I believe that I never get sick, and I never do, I am currently getting symptoms of a runny nose and a sore throat, just symptoms. It doesn't mean I am sick..
The worst thing about this is, even though in my head I am not sick, my brain isn't functioning, my body feels weird and there's mucous coming out of every orfice of my body.

My remedy of green tea and ginger with honey and lemon has failed. And I call myself a pharmacist. Pshhhht

News on the forefront: Although work can be sucky at times, yet I still manage to find pleasures. Some people can put a smile on my face without even trying. In other news: brace yourselves, winter is coming.

Wednesday 11 January 2012

That awesome moment

That moment, when everything is going the wrong way, nothing is working out, you lose alot, you miss the bus, you lose your keys, your phone is off because the batteries are depleted and you think to yourself, this can't get any worse. Well, the universe hears your cry of despair and accepts your challenge.
So days go by, weeks, even months and you're at an all time low. You've done all you could do, yet nothing is working out. So you take on the universe and its' challenge and you donate, you pray, you even clean your room daily thinking it's the last straw.

Nothing. In fact, you lose your job, and you can't find another one.

Then one day out of the blue, you share a seat with a kind stranger on the bus. They smile at you.

You get that job interview You always wanted. And you get the job.

You were left out but all of a sudden you find yourself sitting at a table with your close friends.

And your life blooms. No reason. Just does.
You get everything you want, including that vacation you were dying for. Including the guy you always wanted, or that girl.

Don't lose hope. It takes weeks, months years even. It will look up. There really is a light at the end of that tunnel. You just have to keep on walking.